# Request
Your job: print all of the block further down unchanged.

# File
(1)
{
  "formula": "C35H28Br2Cl2F10N4OPW",
  "method": "the ωB97M-V functional and the def2-TZVPD basis",
  "symbols": ["W", "C", "N", "C", "C", "N", "C", "C", "F", "C", "F", "C", "F", "C", "F", "C", "F", "C", "C", "N", "C", "C", "F", "C", "F", "C", "F", "C", "F", "C", "F", "H", "H", "H", "H", "H", "H", "H", "H", "H", "H", "H", "Br", "C", "Br", "H", "H", "Cl", "C", "C", "C", "Cl", "C", "C", "C", "C", "N", "C", "C", "O", "H", "H", "H", "H", "C", "P", "C", "C", "C", "C", "C", "C", "C", "H", "H", "H", "H", "H", "H", "H", "H", "H", "H", "H"],
  "xyz": [[-0.06546, 0.57985, -0.39682], [-1.20029, 1.98484, -2.94847], [-1.66643, 0.90003, -2.02517], [-1.85657, -0.38644, -2.80868], [-0.49667, -1.06279, -3.03022], [0.35411, -0.66330, -1.91428], [1.68209, -0.89930, -2.15979], [2.67220, -0.81648, -1.13725], [2.06962, -0.47350, 0.05357], [4.01115, -1.10306, -1.17123], [4.79203, -0.99788, -0.08201], [4.43588, -1.61719, -2.38389], [5.73811, -1.97535, -2.67767], [3.56745, -1.76830, -3.46673], [4.02449, -2.02288, -4.71540], [2.22591, -1.55348, -3.30272], [1.50110, -1.91780, -4.39044], [-3.04985, 1.19357, -1.40146], [-2.83324, 2.12232, -0.18882], [-1.58017, 1.62166, 0.40684], [-1.41349, 2.50181, 1.52168], [-0.75990, 3.71405, 1.31780], [-0.25226, 4.00869, 0.12648], [-0.93030, 4.69649, 2.28893], [-0.55786, 5.89858, 2.01696], [-1.49962, 4.41720, 3.53227], [-1.80515, 5.34760, 4.37601], [-1.94686, 3.15765, 3.79258], [-2.60954, 2.85303, 4.90644], [-1.95243, 2.25562, 2.74649], [-2.51370, 1.05225, 2.98235], [-1.89666, 1.99297, -3.77126], [-0.24285, 1.85130, -3.51884], [-1.13421, 3.02284, -2.46654], [-2.47551, -0.10644, -3.64832], [-2.36634, -1.11215, -2.26875], [-0.15178, -0.65635, -3.98213], [-0.67890, -2.15262, -3.13365], [-3.48042, 0.28816, -1.13199], [-3.65743, 1.71618, -2.13467], [-3.60250, 1.85700, 0.53031], [-2.70699, 3.21721, -0.39833], [1.56139, -7.18949, -0.40864], [2.88556, -6.65570, -1.66584], [2.38805, -4.88332, -2.38386], [2.89115, -7.40672, -2.46202], [3.82579, -6.65483, -1.26785], [3.61134, 3.37791, -2.07138], [3.20341, 3.07780, -0.46281], [3.93320, 3.77383, 0.55963], [3.74946, 3.48861, 1.86483], [4.74104, 4.25290, 3.00385], [2.76399, 2.49257, 2.27562], [2.40430, 2.26738, 3.62729], [1.30771, 1.42666, 3.88613], [0.59444, 0.90836, 2.72808], [0.96853, 1.11300, 1.49344], [1.98272, 1.99169, 1.25158], [2.17938, 2.29866, -0.07691], [1.24670, 1.75431, -0.96509], [4.74738, 4.49479, 0.21727], [3.00513, 2.66628, 4.44693], [0.86347, 1.18168, 4.77215], [-0.27254, 0.24708, 2.86876], [0.56290, -2.99728, 0.79372], [-0.50637, -1.54869, 1.01734], [-0.96618, -1.76188, 2.80997], [-2.05408, -1.93152, 0.25925], [-3.20901, -1.34013, 0.85405], [-4.43375, -1.82552, 0.48198], [-4.56295, -2.92173, -0.40073], [-3.42547, -3.42720, -1.01114], [-2.15873, -2.90017, -0.72604], [1.20543, -3.03364, -0.05255], [-0.03372, -3.94425, 0.82142], [1.22107, -3.01185, 1.67030], [-0.05686, -1.79649, 3.44464], [-1.49271, -2.71336, 2.81620], [-1.63128, -1.04474, 3.29974], [-3.11180, -0.61578, 1.56619], [-5.32297, -1.45845, 0.93464], [-5.58519, -3.33589, -0.65607], [-3.42294, -4.06540, -1.85922], [-1.28774, -3.31507, -1.23804]],
  "e_above_lowest_ev": 1.400,
  "total_charge": 3,
  "homo_ha": [-0.5976, -0.5976],
  "molar_mass_g_mol": 1156.1,
  "total_energy_ev": -248146.8763
}

(2)
{
  "formula": "C35H28BrN7O6S3V",
  "method": "the ωB97M-V functional and the def2-TZVPD basis",
  "symbols": ["V", "C", "O", "C", "C", "C", "Br", "C", "C", "C", "O", "C", "N", "C", "C", "C", "C", "C", "C", "N", "H", "H", "H", "H", "H", "H", "H", "H", "H", "H", "H", "S", "C", "C", "C", "C", "N", "C", "C", "C", "S", "C", "N", "H", "H", "O", "S", "O", "O", "C", "N", "C", "C", "C", "N", "C", "C", "C", "N", "C", "C", "H", "H", "H", "H", "H", "H", "C", "C", "C", "C", "O", "H", "H", "H", "H", "H", "H", "H", "H", "H"],

# Here it is
(1)
{
  "formula": "C35H28Br2Cl2F10N4OPW",
  "method": "the ωB97M-V functional and the def2-TZVPD basis",
  "symbols": ["W", "C", "N", "C", "C", "N", "C", "C", "F", "C", "F", "C", "F", "C", "F", "C", "F", "C", "C", "N", "C", "C", "F", "C", "F", "C", "F", "C", "F", "C", "F", "H", "H", "H", "H", "H", "H", "H", "H", "H", "H", "H", "Br", "C", "Br", "H", "H", "Cl", "C", "C", "C", "Cl", "C", "C", "C", "C", "N", "C", "C", "O", "H", "H", "H", "H", "C", "P", "C", "C", "C", "C", "C", "C", "C", "H", "H", "H", "H", "H", "H", "H", "H", "H", "H", "H"],
  "xyz": [[-0.06546, 0.57985, -0.39682], [-1.20029, 1.98484, -2.94847], [-1.66643, 0.90003, -2.02517], [-1.85657, -0.38644, -2.80868], [-0.49667, -1.06279, -3.03022], [0.35411, -0.66330, -1.91428], [1.68209, -0.89930, -2.15979], [2.67220, -0.81648, -1.13725], [2.06962, -0.47350, 0.05357], [4.01115, -1.10306, -1.17123], [4.79203, -0.99788, -0.08201], [4.43588, -1.61719, -2.38389], [5.73811, -1.97535, -2.67767], [3.56745, -1.76830, -3.46673], [4.02449, -2.02288, -4.71540], [2.22591, -1.55348, -3.30272], [1.50110, -1.91780, -4.39044], [-3.04985, 1.19357, -1.40146], [-2.83324, 2.12232, -0.18882], [-1.58017, 1.62166, 0.40684], [-1.41349, 2.50181, 1.52168], [-0.75990, 3.71405, 1.31780], [-0.25226, 4.00869, 0.12648], [-0.93030, 4.69649, 2.28893], [-0.55786, 5.89858, 2.01696], [-1.49962, 4.41720, 3.53227], [-1.80515, 5.34760, 4.37601], [-1.94686, 3.15765, 3.79258], [-2.60954, 2.85303, 4.90644], [-1.95243, 2.25562, 2.74649], [-2.51370, 1.05225, 2.98235], [-1.89666, 1.99297, -3.77126], [-0.24285, 1.85130, -3.51884], [-1.13421, 3.02284, -2.46654], [-2.47551, -0.10644, -3.64832], [-2.36634, -1.11215, -2.26875], [-0.15178, -0.65635, -3.98213], [-0.67890, -2.15262, -3.13365], [-3.48042, 0.28816, -1.13199], [-3.65743, 1.71618, -2.13467], [-3.60250, 1.85700, 0.53031], [-2.70699, 3.21721, -0.39833], [1.56139, -7.18949, -0.40864], [2.88556, -6.65570, -1.66584], [2.38805, -4.88332, -2.38386], [2.89115, -7.40672, -2.46202], [3.82579, -6.65483, -1.26785], [3.61134, 3.37791, -2.07138], [3.20341, 3.07780, -0.46281], [3.93320, 3.77383, 0.55963], [3.74946, 3.48861, 1.86483], [4.74104, 4.25290, 3.00385], [2.76399, 2.49257, 2.27562], [2.40430, 2.26738, 3.62729], [1.30771, 1.42666, 3.88613], [0.59444, 0.90836, 2.72808], [0.96853, 1.11300, 1.49344], [1.98272, 1.99169, 1.25158], [2.17938, 2.29866, -0.07691], [1.24670, 1.75431, -0.96509], [4.74738, 4.49479, 0.21727], [3.00513, 2.66628, 4.44693], [0.86347, 1.18168, 4.77215], [-0.27254, 0.24708, 2.86876], [0.56290, -2.99728, 0.79372], [-0.50637, -1.54869, 1.01734], [-0.96618, -1.76188, 2.80997], [-2.05408, -1.93152, 0.25925], [-3.20901, -1.34013, 0.85405], [-4.43375, -1.82552, 0.48198], [-4.56295, -2.92173, -0.40073], [-3.42547, -3.42720, -1.01114], [-2.15873, -2.90017, -0.72604], [1.20543, -3.03364, -0.05255], [-0.03372, -3.94425, 0.82142], [1.22107, -3.01185, 1.67030], [-0.05686, -1.79649, 3.44464], [-1.49271, -2.71336, 2.81620], [-1.63128, -1.04474, 3.29974], [-3.11180, -0.61578, 1.56619], [-5.32297, -1.45845, 0.93464], [-5.58519, -3.33589, -0.65607], [-3.42294, -4.06540, -1.85922], [-1.28774, -3.31507, -1.23804]],
  "e_above_lowest_ev": 1.400,
  "total_charge": 3,
  "homo_ha": [-0.5976, -0.5976],
  "molar_mass_g_mol": 1156.1,
  "total_energy_ev": -248146.8763
}

(2)
{
  "formula": "C35H28BrN7O6S3V",
  "method": "the ωB97M-V functional and the def2-TZVPD basis",
  "symbols": ["V", "C", "O", "C", "C", "C", "Br", "C", "C", "C", "O", "C", "N", "C", "C", "C", "C", "C", "C", "N", "H", "H", "H", "H", "H", "H", "H", "H", "H", "H", "H", "S", "C", "C", "C", "C", "N", "C", "C", "C", "S", "C", "N", "H", "H", "O", "S", "O", "O", "C", "N", "C", "C", "C", "N", "C", "C", "C", "N", "C", "C", "H", "H", "H", "H", "H", "H", "C", "C", "C", "C", "O", "H", "H", "H", "H", "H", "H", "H", "H", "H"],